Sunday, March 04, 2012

Women on my mind

International Women's Day (March 8th) is here again this year and the regular question which arises as always is whether it is just tokenism only, or symbolism has some importance too. My personal take is that symbolism is very important because it not just makes us ask the difficult questions about how pathetic record we have on the women's issues, but also because it ritualizes something very important. And, looking at how religions work, one can say it confidently that rituals slowly form habits, like touching your head with the book if it falls or you just accidentally touched it with your feet. So, it is definitely a good thing if we get into the habit of asking ourselves some difficult questions on the women's issues. It is probably just a drop where a flood is required to "level the field", but it is well worth it.
Along with the question of symbolism, some other issues related to womankind also come to our mind. These include, why we discriminate women (or more generically, discriminate any marginalized group), idea of equality as an ideal, role of nature or nurture in it, moral dimensions of these issues, etc. I am neither a woman nor someone who has given considerable amount of thought, energy and time to understand women’s issues. So I am just putting up my thoughts on three important aspects of women’s issues in general i.e. equality, nature v/s nurture, evolution. This is not a thorough and informed analysis of these aspects too; it is just my personal and CURRENT opinion on these issues. And yes, sorry for the regular digressions - I am just not capable of staying focused on anything.
Equality: The issue of equality is important because it comes up first in any conversation on this topic. This happens because of the existence of exploitative discrimination of women which exists almost everywhere in the world and more so in the poor families and regions with the exception of Middle East.
To say that it is a human tendency to discriminate is not a wrong statement if we were still the competing with the neanderthals. But with the complex society and science we have developed, it feels wrong to say that we haven't yet become open-minded enough to not stereotype or recognize the wrongs done by our ancestors. It is the fear of unknown or different which is typically at the root of any type of discrimination, and though everyone (I hope so) knows that knowing the unknown or open-mindedness (or curiosity) towards new and different ideas, people and everything else is the way to overcome fear and hence (hopefully) remove discrimination or exploitation. Tragedy in this case is that almost all of males live with females in our homes but most know nothing about these issues, because our cultures never let us think that women’s issues are worth that much attention.
In general Gender Equality as an issue has at the least two sides to it, first of this is the equal opportunity side (exactly speaking, the lack of it). This is definitely a highly pervasive issue of our times and has been so historically too. It is a known fact that at best women get evaluated on their performance while men get evaluated on their potential. Add the societal constraints, nurturing and expectations, and a female's dream of achieving something would mostly remain a dream only. Even the women, who do become successful, are often manlier than the men around them. Britishers described Rani Laxmi Bai as the only man they fought in what they call as the 1857 mutiny. Similar things have been said about Indira Gandhi, Golda Meyer, Margaret Thatcher and many of top female icons of current time e.g. Mayavati, Indira Nooyi, etc. So it is always a men's game and in order to win it, women have to beat men at their own game just like any other winner would have done.
It is assumed that flexi hours, telecommuting and maternity-issues, can't go along with serious business. Never will we discuss the issue of properly valuing the taking care of family as a contribution, instead of treating it like a zero-wage thankless job.
Second aspect is the silly argument similar to one put across by the reservation opposing upper caste folks, is why women get reserved seats in Metro or in colleges, jobs and politics i.e. why can't women compete with men as equals if they want to be treated equally? While reserved seats in Metro or a ladies first announcement is just a courtesy, reservation in jobs or politics is a simple means (though not the best) to move in the direction of achieving a somewhat equitable distribution of the opportunities between the two genders given the history of exploitation we have. The real change will start from homes only, when women actually become equally important decision makers in their homes regardless of whether live in cities or villages, or whichever class/caste they belong too.
Next to the entry, the page also holds quantum chemistry results =
~~~
# 1
Here is 3 unconnected molecules or ions with the total composition C3H8O4S in a non-equilibrium geometry from OMol25. Energies are from wB97M-V/def2-TZVPD.

total charge = -2
Kohn-Sham gap = 5.5761 eV
LUMO = 0.22572 hartree

Last column: natural (NBO) charge in e.
CARTESIAN COORDINATES (ANGSTROEM)
1 S -2.2773 0.4818 -2.3275  -0.84
2 O 0.8301 0.7564 0.7629  -0.83
3 O -0.2149 -0.6621 2.6057  -1.01
4 O -0.5035 -2.9001 1.0157  -0.99
5 O 2.5925 1.4847 -0.4189  -0.82
6 C -0.9785 0.6624 -0.9674  -0.47
7 C 1.3788 1.1818 -0.2419  0.79
8 C 0.4449 1.0606 -1.5209  -0.54
9 H -0.2360 -0.0701 1.7905  0.53
10 H -0.3327 -2.0503 1.4053  0.49
11 H 0.9713 0.3208 -2.1103  0.20
12 H 0.3528 1.9572 -2.1306  0.19
13 H -0.9479 -0.3862 -0.5812  0.16
14 H -0.5264 -2.5605 0.0583  0.47
15 H 0.7136 -0.5713 2.8465  0.47
16 H -1.2670 1.2951 -0.1862  0.18

Atomic forces in eV per Å
S 0.261 0.451 0.389
O 0.029 -0.167 2.910
O -0.313 0.417 -0.397
O -0.132 -0.052 -3.204
O -0.574 0.251 0.406
C 0.550 -2.546 -3.235
C 1.033 0.094 -3.457
C -0.788 0.304 2.129
H 0.375 -0.328 0.737
H 0.190 0.914 1.472
H -0.421 -0.445 -0.368
H 0.170 0.198 0.081
H 0.258 0.940 0.054
H -0.117 -1.176 1.738
H -0.044 0.078 -0.166
H -0.477 1.067 0.912

***

# 2
Here is 2 unconnected molecules or ions with the total composition C3H11NO in a non-equilibrium geometry from OMol25. Energies are from wB97M-V/def2-TZVPD.

Kohn-Sham gap = 10.5967 eV
LUMO = 0.03955 hartree

Last column: natural (NBO) charge in e.
CARTESIAN COORDINATES (ANGSTROEM)
1 O 0.5726 -0.4626 0.4443  -0.55
2 N -0.9697 1.6956 1.9369  -1.11
3 C 0.2774 0.1590 -1.8877  -0.64
4 C 1.1923 -0.4747 -0.8011  -0.05
5 C -0.4661 -1.3731 0.6909  -0.25
6 H -0.6677 -1.4283 1.7528  0.20
7 H -1.3956 2.5001 1.5123  0.36
8 H 2.0187 0.2284 -0.7088  0.18
9 H -0.1812 -2.3488 0.2969  0.16
10 H 1.5261 -1.4337 -1.1994  0.16
11 H 0.0912 1.2095 -1.7084  0.21
12 H -0.5716 1.9847 2.8254  0.35
13 H -1.3457 -1.0865 0.1369  0.17
14 H 0.7534 0.0598 -2.8589  0.21
15 H -0.6264 -0.4501 -1.9051  0.20
16 H -0.2080 1.2208 1.4730  0.39

Atomic forces in eV per Å
O 0.559 0.079 1.161
N 0.106 -0.427 1.422
C 0.413 -1.140 0.372
C -0.651 1.818 -1.499
C 0.257 -0.456 -0.986
H 0.025 0.142 0.076
H 0.385 0.018 -0.567
H 0.437 -0.441 0.172
H 0.075 -0.374 0.217
H 0.066 -0.384 0.602
H -0.269 0.101 0.211
H -0.315 0.098 -0.011
H -0.658 0.202 0.066
H 0.083 0.002 -0.179
H -0.303 0.415 -0.222
H -0.210 0.346 -0.834

***

# 3
Here is a molecular structure, C5H11O3Tm in a non-equilibrium geometry from OMol25. Energies are from wB97M-V/def2-TZVPD.

total charge = +1
Kohn-Sham gap (alpha / beta) = 6.3498 / 5.9128 eV
multiplicity = 4
LUMO (alpha / beta) = -0.11533 / -0.19886 hartree

Last column: natural (NBO) charge in e.
CARTESIAN COORDINATES (ANGSTROEM)
1 Tm 1.1796 0.8579 2.0347  0.98
2 O 1.4794 -1.0546 0.7574  -0.66
3 O -2.8975 3.0213 -0.0279  -0.45
4 O -0.8899 0.3903 0.4592  -0.56
5 C 1.8916 -2.3035 1.2886  -0.27
6 C -0.3968 1.6279 -0.1046  -0.20
7 C 0.8091 -1.0857 -0.4951  -0.12
~~~
Obviously there is a moral dimension of all this also, but then the liberal morals and conservative morals are so different that in a country of faith like India, we better keep that topic for a much detailed discussion some other time. Broadly I would just say that the differences between the two sexes are real and can be complementary too, so respecting the differences and making the best out of them should be our guiding or moral principle.
Speaking of differences, there is one very important one which appeals to men’s real (animal) nature i.e. women’s sexuality, and many get accused of using it to their advantage. No doubt some women take advantage of their appearance or sexuality, but then same women are also vulnerable when someone starts using force or vilify them in their communities. Irony is, men can be nasty enough to use the system to their advantage or use their physical power to coerce women, or be praised for their ruthless execution of tasks to achieve their goals or even attracting women (a big goal for them). Use of their charm by women is definitely a much more passive and humane way to achieve their objectives. Therefore, I am all in for women using their smile to make their way. Vidya Balan in Dirty Picture or Cleopatra are good icons on this front, and why forget the Mataharis of the world.
[Attached: calculated molecules]
........
ORCA calculation (ωB97M-V/def2-TZVPD) on C39H44I2N11OSTl as an isolated structure.

Each line ends with the Mulliken charge.
CARTESIAN COORDINATES (ANGSTROEM)
Tl: -0.22515 -0.93988 0.37203  3.3492
I: -4.65942 3.97640 4.27097  0.1352
C: -3.80946 2.35796 3.29624  -0.7538
C: -4.10738 1.06029 3.70332  -0.1566
C: -3.53768 -0.01488 3.04096  0.0608
I: -4.03083 -1.94443 3.64527  0.0586
C: -2.65561 0.15673 1.95761  0.0002
O: -2.15979 -0.88914 1.31097  -0.2114
C: -2.36365 1.47726 1.58069  -0.7209
C: -1.33560 1.74858 0.52177  -0.3047
N: 0.03201 1.49626 1.01375  0.2468
C: 0.33673 2.06398 2.31542  -1.7684
C: 0.04496 1.08177 3.42315  1.0444
C: -0.36443 1.53566 4.66698  -0.8798
C: -0.60688 0.60418 5.66251  -0.6454
C: -0.42837 -0.74246 5.38365  -1.1935
C: -0.00304 -1.09896 4.11440  -0.5194
N: 0.23637 -0.20729 3.14862  0.9280
C: -2.94888 2.55851 2.23608  -0.6221
H: -4.78597 0.88781 4.52856  0.4425
H: -1.03773 1.37282 -1.45310  -1.2787
H: -1.41797 2.79644 0.21554  0.7413
H: 0.69017 1.79699 0.29047  0.0621
H: 1.39238 2.35054 2.34158  0.2448
H: -0.23640 2.97644 2.49703  0.7041
H: -0.51826 2.59570 4.84309  0.5263
H: -0.94938 0.92498 6.63824  0.4546
H: -0.62763 -1.50390 6.12615  0.4856
H: 0.13734 -2.14208 3.84858  0.4293
H: -2.71124 3.56795 1.91372  0.5603
C: -2.66459 3.53014 -3.01318  -0.9813
N: -1.23344 3.74882 -3.24515  0.1431
C: -0.92410 4.96055 -4.02024  -1.1501
C: -0.36939 2.90655 -2.71142  -0.2131
N: -1.43651 0.86882 -0.64788  1.1160
N: 0.93604 3.23163 -2.95452  -0.0301
C: 2.00212 2.42227 -2.52509  0.1997
N: 3.04929 2.45369 -3.38937  -0.4794
N: 1.94553 1.79417 -1.40595  -0.2688
H: -3.18440 3.40639 -3.96274  0.3956
H: -3.09909 4.38004 -2.48660  0.3939
H: -2.78675 2.63256 -2.41651  0.2005
H: -1.78632 5.21131 -4.63377  0.3642
H: -0.08848 4.80974 -4.70205  0.4183
H: -0.70660 5.80199 -3.36213  0.3309
H: -2.40750 0.63584 -0.83032  0.3210
H: 1.20118 4.00078 -3.55365  0.2707
H: 2.91959 2.76380 -4.33640  0.1789
H: 3.86270 1.89422 -3.20742  0.2038
H: 2.75769 1.19117 -1.31648  -0.2527
N: -4.24470 -7.34895 -2.21818  -0.4100
C: -3.68903 -6.40252 -1.87881  -0.3298
C: -2.97720 -5.21207 -1.45711  0.4794
C: -1.82333 -4.81629 -2.12274  -0.8305
C: -1.17095 -3.68520 -1.68327  -0.6458
N: -1.59158 -2.94499 -0.64511  0.5092
C: -2.71244 -3.33175 -0.01417  -0.3631
C: -3.43028 -4.45764 -0.38914  -0.6728
H: -1.44612 -5.37822 -2.96578  0.5777
H: -0.27019 -3.35253 -2.18251  0.6718
H: -3.02968 -2.71448 0.81589  0.0603
H: -4.32833 -4.73312 0.14885  0.5872
C: 4.35059 1.32667 3.13095  -0.7619
N: 4.08948 0.14315 2.25174  0.2855
C: 4.56114 0.38104 0.85572  -0.8621
C: 2.62863 -0.27190 2.29249  0.0128
C: 2.46296 -1.70873 1.86767  0.0070
C: 3.32950 -2.65898 2.41322  -0.7052
C: 3.23649 -4.00217 2.08636  -1.1062
C: 2.24291 -4.41474 1.21565  -0.9750
C: 1.34458 -3.48678 0.70418  -0.4442
C: 1.43932 -2.12889 1.00877  0.1661
H: 5.41067 1.56287 3.09774  0.4098
H: 4.04573 1.08069 4.14417  0.3447
H: 3.76658 2.16261 2.75253  0.3208
H: 4.62379 -0.64396 2.61340  0.5137
H: 4.02105 1.24438 0.47637  0.4169
........
Nature v/s nurture: Are men and women genetically wired to be so different the way they are or it is more epigenetic reasons or nurturing which builds all these differences? As I see things, it is certainly a combination of both nature and nurture. There is no doubt that males are physically stronger in terms of athletic things or fighting, but women also have some advantages which show in their longer average life-spans and their ability to endure and survive labor pains or their monthly issues. It is near impossible to defend if one claims that men are more compassionate. At the same time nurture, which has created so many constraints on women- often in terms of their own mindset too, that it could possibly be blamed for all the issues in this gender debate. As more and more women are entering the workforce, the nurture or to say culture forces them to balance their family responsibilities and careers but just spending more hours working both in office and at home.
Whether masculinity as we know it, is an acquired trait or inherited one is a debatable question when you find that only the likes of India Gandhi making it big in our Men's world. But rather than worrying about its origins, I would like to focus on systemic changes which decrease the importance of masculinity in progressing as a civilization. Changing the "Nurture" at a systemic level makes sense because that's all we can do, and we have enough evidence to say that nurture can overcome the barriers of nature.
As per my limited understanding of nature, evolution and everything else, the phenomenon of Path-dependence is a very important one. Putting it in this context, just like we say that “Rome wasn't build in a day”, so will be the case of women finally getting their rightful place and power. We have such a long evolutionary and then our social history of exploiting women that we can't get rid of it a short time frame. Most probably this process will take a few generations before we as a civilization reach anywhere close to the utopia of gender equality in terms of opportunities and no exploitation. Good news is that these changes are under progress everywhere though at different paces. In rural areas we have many women empowerment programs trying to do some good though TVs might be more effective. Without these also, we had (rare) women resort to taking charge of the family when the husband has been incapacitated by hard-luck or bad habits. Urban females are definitely doing relatively better as their opinions do matter in their homes in varying degrees though not as much as would be their fair share for their contribution or consequences to them.
The changes required could be mandated through laws or social norms but the hard reality is that those ideas won't derive any legitimacy and hence acceptance among the majority unless it becomes an evolutionary inevitability for our society as a whole. We are now somewhat of a democratic society because of the commitment of our country Founding fathers towards the ideal of democracy. This indicates that today's lawmakers and reformers can certainly provide the guiding direction if we want a world where our daughters get their rightful place. But the difference between authors of our constitution and our lawmakers is that while the former had both luxury and courage to be bold on social issues, the later have both too much of populist pressures and a total lack of courage to be bold on social issues. This is assuming that lawmakers too believe in equality of opportunity for both the genders, which is not true of at least a significant number of them, if not majority. On most fronts e.g. technology, this translates into policies lagging behind the reality whereas ideally it should be otherwise if we want to really realize the future we want and not reach some alternate future by accident as it has been almost always throughout the history.
### Misplaced records of molecules
********
ORCA calculation (the ωB97M-V functional and the def2-TZVPD basis) on one molecule with the formula C5H12OS at a distorted geometry.

Last column: natural (NBO) charge in e.
Geometry (Å):
H1 -2.37218 0.24076 -0.10923  0.22
H2 0.55103 2.70470 0.30460  0.18
O1 -0.89527 2.52295 -1.11247  -0.73
H3 1.29409 -1.77984 -1.79564  0.22
H4 -0.57921 -0.84119 -1.23094  0.20
H5 -1.19117 -2.05966 -0.19101  0.22
C1 -0.02479 1.90986 -0.15012  -0.07
H6 2.40248 -2.74861 -0.82535  0.22
C2 -0.78960 1.20893 0.95028  -0.43
H7 -1.88108 -0.56222 1.45896  0.21
H8 -1.44008 1.93305 1.44675  0.21
H9 2.71743 -1.01169 -0.99703  0.22
H10 -0.97353 1.95428 -1.87996  0.46
S1 0.95340 -1.37707 0.55710  0.15
H11 -0.05984 0.94566 1.72424  0.21
C3 1.94319 -1.77442 -0.92777  -0.73
C4 -1.55471 -0.05395 0.54975  -0.41
C5 -0.68316 -1.09744 -0.18543  -0.52
H12 0.68934 1.24943 -0.64697  0.17

The calculation puts the molar mass at 120.2 u. The calculation puts the HOMO-LUMO gap at 9.3466 eV. As for the SMILES: CSCCCCO. Its total charge is 0. The total energy is -671.1113 hartree. Its HOMO energy is -0.3132 Eh. Its lowest unoccupied orbital energy is 0.82 eV. The energy above the lowest of the compared OMol25 structures with the same formula, charge and spin is 0.598 eV.

ORCA calculation (the ωB97M-V functional and the def2-TZVPD basis) on a 2-piece molecular cluster, C5H12OS overall at a distorted geometry.

Last column: natural (NBO) charge in e.
Geometry (Å):
H1 0.61606 -0.34441 -2.01962  0.20
C1 1.87334 -0.33108 1.27183  -0.64
H2 1.74592 -1.46172 1.52283  0.23
H3 1.71656 1.88724 -0.86905  0.21
H4 0.10840 1.90472 -0.29090  0.22
C2 0.93761 0.16091 0.13184  -0.04
H5 1.16676 -1.79936 -1.16407  0.23
H6 -1.56565 -0.02397 -0.40739  0.10
H7 1.33559 2.05434 0.89379  0.22
H8 1.57361 0.10580 2.23762  0.22
O1 -4.60356 -0.23370 0.87473  -0.48
C3 -4.01016 -0.63966 -0.06057  0.30
H9 2.21024 -0.41146 -1.41258  0.20
C4 1.24832 -0.68389 -1.11118  -0.63
S1 -0.85917 -0.27777 0.69880  -0.11
H10 2.87907 0.04322 1.03661  0.22
H11 -4.12866 -1.60535 -0.66547  0.10
C5 1.04802 1.65266 -0.06701  -0.63
H12 -3.29232 0.00346 -0.60021  0.08

The calculation puts the molar mass at 120.2 u. The calculation puts the HOMO-LUMO gap at 9.8410 eV. As for the SMILES: CC(C)(C)S.C=O. Its total charge is 0. The total energy is -671.0558 hartree. Its HOMO energy is -0.3361 Eh. Its lowest unoccupied orbital energy is 0.70 eV. The energy above the lowest of the compared OMol25 structures with the same formula, charge and spin is 2.106 eV.

ORCA calculation (the ωB97M-V functional and the def2-TZVPD basis) on an isolated ion of composition C5H12OS and charge +1 at a distorted geometry.

Last column: natural (NBO) charge in e.
Geometry (Å):
H1 -0.69166 -0.04287 0.36326  0.22
H2 -0.98333 3.38773 -1.77144  0.49
C1 0.83511 1.26514 0.04294  -0.42
S1 0.56754 -2.82556 0.58675  0.84
C2 0.23640 -0.19254 -0.17581  -0.41
H3 2.19460 -1.21520 -0.00761  0.28
C3 -1.25227 -2.78464 0.26970  -0.76
H4 1.30325 1.22309 1.02292  0.21
********
Evolutionary case: Having mentioned the word evolution above, it seems right that we discuss this aspect. As per my layman like understanding, males dominate because most of the struggles of survival in our evolutionary and social history favored physical strength a lot. At the same time factors contributing to stability were always underplayed because of the perception of equating physical strength and its derivatives as bold and praiseworthy. Childcare is definitely not valued as much as it should be and maybe that would be the case till the world population keeps on growing. Achieving economic growth from having more people does have some correlation with lack of women's empowerment because it forces us to price childcare responsibilities as low as possible. Same holds true of other intangibles women typically provide for too.
Anyway, the point I want make by bringing in evolution is that we as a society are becoming much more feminine at an accelerating pace. Everywhere we are seeing working systems of law and order, and democratic institutions come-up, and economy is being driven more and more by knowledge, not the control of resources. More knowledge means not just increasing complexity but also increasingly co-operative ventures and systems. All these things reduce the importance of physical strength and I am quite sure that if not earlier, by the end of this century we will have machines for doing everything which requires physical strength or anything mundane or repetitive. Medical sciences would have progressed to the level where use of artificial wombs would be the norm and 80 might as well be called as the middle age (this might be a a slight exaggeration but I guess you are getting my point). Nature of work in the future would be very different and humans will have only creative things to do only for their livelihoods. It means if a waiter can't charm and keep her/his customers engaged every time better than a machine, they wouldn't be needed. Entertainment (sports, restaurant and other experience based offerings included) and research would probably the only broad professions left for humans. This also means that the nature of work as we know from our industrial age experience will change drastically. Work would become much more sporadic in nature for a large fraction of the population. Rule of law would too become much more pervasive, in fact evidence is abundant that violence is reducing in all forms almost everywhere on the planet and rule of law is gaining more acceptance and legitimacy.
With so much more value given to the human life and creative abilities than to the material stuff we own, childcare and other family responsibilities will both get distributed well among genders and valued rightfully. Given the pace we are moving towards such a society where physical strength will become almost irrelevant, I don't see men as a group being able to adapt fast enough. At the same time, women both because of their inherited traits and exploitative nurturing effect of our cultures so far have adapted to, or are normally stereotyped as more compassionate, cooperating, disciplined and sincere towards work and able to manage complexities better or balance work, family and other interests much better than men. All these traits are a huge competitive and hence evolutionary advantage which men in general have not adapted as of yet. For the advocates of attributing females being subservient to nature or genes, this is more scary scenario for then it is for the nurture advocates as it means men would take centuries to adapt (even with the availability of medical/genetic engineering options for doing so) to the new environment. Add to this the charm of a women’s smile and men certainly don’t stand much chance.
To put it simply, in future women would be the dominant decision makers. If we accept the above mentioned future is as a realistic or a highly likely scenario then we will also have to accept that nations which make lives better and fairer for women would prosper and be competitive in the future we have envisaged. So it is in the real interest of nations of take care of their women if they want a good future and the nations which don’t realize or act soon will have to pay later.
I am not quite hopeful about India doing anywhere close to enough on this front even when we are so much behind the other big and important countries. But still there are some elements of hope e.g. women in Computer Science is not an uncommon sight in India, maybe because on one hand we like the fact that it is not manual labor while on the other hand our society doesn’t think that women are by nature not good at math and sciences. This translates into saying that creative thinking is not an exclusively male domain in our view. Probably this is something which would play to our advantage, but only if we are able welcome the rise of women in all other senses too. Spreading this message is important, because the case I want to make is that sooner we accept this better it would be for us as a nation, for it is an evolutionary inevitability or the destiny.